Transport fever, new entrants, and the latest OED appeals

The latest range of revised and updated OED entries covers two general themes: the entirely unrelated topics of transport and infection, spearheaded on the one hand by the dictionary’s general editors (transport) and on the other hand by the team’s science editors (infection). Alongside these, we have major clusters around five keywords: ice, key, save, small, and state.

Car is one of those Celtic words that have made it big in English. Gaulish carro (found in compounds) is a “wheeled vehicle used for transporting burdens” and Early Irish carr was a wagon or chariot. The Celtic word passed into Latin, and we acquired it eventually through French in the Middle Ages. For many years it simply meant a cart or wagon – or in literary contexts a chariot. But it was hauled into new uses with the advent of new technologies.

When the Montgolfier brothers ascended in their air balloon in 1783 they needed something to sit in. In English we drafted in the word car for the balloon’s ‘gondola’. The updated OED entry for car cites a contemporary source:

1783 Scots Mag. Dec. 653/1 They then descended so low as to skim along the surface of the ground.‥ Seeing a hill before them, they cast some of their superfluous cloathing out of the car, and thus cleared the eminence.

About forty years later more new technology found another use for the word car. The embryonic railway system in America wanted a word for a ‘railway carriage’ or ‘wagon’, and what better neat little three-letter word than car. From the original railways in quarries and mines, it migrated to passenger trains. In the late eighteen-thirties Harriet Martineau was quite familiar with the term:

/*
Density functional theory data (PBE-GGA) for crystalline Eu2MgSn at its relaxed geometry.

a = 5.5966 Å, b = 5.5966 Å, c = 5.5966 Å
α = 60.00°, β = 60.00°, γ = 60.00°
Fractional positions:
Mg1 0.5000 0.5000 0.5000
Sn1 0.0000 0.0000 0.0000
Eu1 0.2500 0.2500 0.2500
Eu2 0.7500 0.7500 0.7500

## Properties
ΔE_f: -44.25 kJ per mole of atoms
spin magnetization: 3.540 μB per atom
crystal system: cubic

=====

[1]
Compound: NdTe
Source: the Materials Project
Functional: PBE-GGA
Structure: relaxed

```
2
Lattice="0.7429 2.5705 -3.6184 4.1043 0.1653 -1.8384 0.7510 -1.9132 -4.0035" Properties=species:S:1:pos:R:3 pbc="T T T"
Nd 0.0000 0.0000 0.0000
Te 2.7991 0.4114 -4.7301
```

Output
Formation energy   -1.632 eV per atom
VASP energy   -10.75 eV for the cell shown


[2]
Compound: NdUTe6
Source: the Materials Project
Functional: PBE-GGA
Structure: relaxed

```
8
Lattice="2.1974 -12.9085 0.0000 2.1974 12.9085 0.0000 0.0000 0.0000 4.3916" Properties=species:S:1:pos:R:3 pbc="T T T"
Te 2.1974 -10.9404 0.0000
U 2.1974 -8.6079 2.1958
Te 2.1974 5.2036 0.0000
Te 2.1974 -1.8318 0.0000
Te 2.1974 11.0814 2.1958
Te 2.1974 1.9667 2.1958
Te 2.1974 -5.4133 2.1958
Nd 2.1974 8.5416 0.0000
```

Output
Formation energy   -1.081 eV per atom
VASP energy   -41.03 eV for the cell shown


[3]
Compound: NdTh3
Source: the Materials Project
Functional: PBE-GGA
Structure: relaxed

```
4
Lattice="-2.6911 -4.2740 0.5608 -0.1112 -0.5921 -5.0458 4.3092 -2.6844 0.2201" Properties=species:S:1:pos:R:3 pbc="T T T"
Th 2.1546 -1.3422 0.1100
Nd 0.7535 -3.7752 -2.1324
Th -1.3455 -2.1370 0.2804
Th -0.0556 -0.2961 -2.5229
```

Output
Formation energy   0.049 eV per atom
VASP energy   -26.81 eV for the cell shown


[4]
Compound: Nd3Tl
Source: the Materials Project
Functional: PBE-GGA
Structure: relaxed

```
4
Lattice="-0.1895 -0.5651 -4.9655 -3.0181 -3.9476 0.5644 -3.9832 3.0180 -0.1914" Properties=species:S:1:pos:R:3 pbc="T T T"
Nd -1.6038 -2.2563 -2.2005
Nd -3.5007 -0.4648 0.1865
Tl 0.0000 0.0000 0.0000
Nd -2.0864 1.2264 -2.5784
```

Output
Formation energy   -0.211 eV per atom
VASP energy   -17.51 eV for the cell shown

=====

Entry 1:
Below is a relaxed Li5Fe2P2C2O14 crystal, with properties calculated at the PBE with a Hubbard U level.

Cell lengths 8.1879, 8.2798, 8.4616 Å; angles 92.80, 94.04, 104.16 degrees
Fractional coordinates of all 50 atoms:
Li1 0.7398 0.4962 0.0993
Li2 0.2495 0.9759 0.0954
Li3 0.8895 0.8519 0.2719
Li4 0.5918 0.1112 0.2741
Li5 0.3833 0.3631 0.2778
Li6 0.4082 0.8888 0.7259
Li7 0.6167 0.6369 0.7222
Li8 0.1105 0.1481 0.7281
Li9 0.2602 0.5038 0.9007
Li10 0.7505 0.0241 0.9046
Fe1 0.4701 0.7250 0.3205
Fe2 0.9773 0.2322 0.3426
Fe3 0.0227 0.7678 0.6574
Fe4 0.5299 0.2750 0.6795
P1 0.7559 0.5172 0.4143
P2 0.2621 0.0160 0.4178
P3 0.7379 0.9840 0.5822
P4 0.2441 0.4828 0.5857
C1 0.5267 0.7804 0.0274
C2 0.0386 0.2634 0.0526
C3 0.9614 0.7366 0.9474
C4 0.4733 0.2196 0.9726
O1 0.4054 0.6572 0.0592
O2 0.9012 0.1549 0.0829
O3 0.9154 0.7103 0.0858
O4 0.6153 0.8774 0.1456
*/

1837 H. Martineau Society in Amer. II. 181 During my last trip on the Columbia and Philadelphia rail road, a lady in the car had a shawl burned to destruction on her shoulders.

The two words automobile (in the French corner) and (motor) car (representing the English-speaking world) drew up in opposing ranks as we looked about for a word to describe the new phenomenon – the “horseless carriage” – of the 1890s. All three had first been used on the railways – here are the OED’s first examples in that context (including autocar, which had apparently not been used on the railways first):


1895 Standard 22 Aug. 4/7 The British Carriage Builders‥do not seem to be alarmed by the new methods of locomotion of which so much is being heard. Cycles and ‘automobiles’ do not depress their spirits.

1895 Westm. Gaz. 10 Sept. 3/2 The chief reason why motor-cars have not been more generally adopted in America lies in the roughness‥of the roads.

1895 Aberdeen Weekly Jrnl. 15 Nov. 5/2 A Glasgow engineer, George Johnson‥is now running an autocar in the streets of that city.

1896 L. Serraillier tr. D. Farman Auto-cars 132 The latter drove with a daring which may have been dangerous to himself, but which never affected his car.

The evidence to date shows that automobile crept in first, closely followed by motor car, autocar, and then car on its own. Further revised and updated entries from the field of transport include bicycle, bus, cycle, and perhaps station.

The OED’s scientific editors have been updating further entries for major diseases and infections – a category whose definitions have often slipped rapidly out of date since the dictionary was originally published between 1884 and 1928. These are the key ones in this release: leprosy, scarlet fever, syphilis, typhoid, and yellow fever. The changes in perspective and medical capacity since the start of the twentieth century, when these entries first appeared, is marked. Here are the original and current versions of the definitions for leprosy and scarlet fever, as examples:


ORIGINAL DEFINITION (1902): an infectious bacterial disease ( Elephantiasis græcorum), which slowly eats away the body, and forms shining white scales on the skin; common in mediaeval Europe. (First recorded instance: 1535.]

REVISED DEFINITION (2012): Originally (freq. with distinguishing word): disease causing scaliness, loss of pigmentation, or scabbiness of the skin; an instance or type of such disease; (now hist.). In later use: spec. the chronic disease caused by infection with the bacterium Mycobacterium leprae, which affects mainly the skin and peripheral nerves, causing nodular and macular lesions of the skin which are often pale and scaly, and loss of sensory and motor function (esp. in the limbs) resulting in destruction of tissue and deformity of the affected parts of the body in severe untreated cases; also called Hansen’s disease and (now hist.) elephantiasis or elephantiasis Graecorum.

<<<
# PBE with a Hubbard U MnNb4O12, relaxed
# Mass density: 4.58 g cm⁻³
# DFT total energy: -583.93 eV per cell
data_MnNb4O12
_symmetry_space_group_name_H-M 'P 1'
_symmetry_Int_Tables_number 1
_cell_length_a 7.681
_cell_length_b 9.083
_cell_length_c 14.302
_cell_angle_alpha 77.91
_cell_angle_beta 98.73
_cell_angle_gamma 112.61
loop_
_symmetry_equiv_pos_as_xyz
'x,y,z'
loop_
_atom_site_label
_atom_site_type_symbol
_atom_site_fract_x
_atom_site_fract_y
_atom_site_fract_z
_atom_site_occupancy
O1 O 0.218 0.442 0.973 1
O2 O 0.718 0.192 0.223 1
O3 O 0.311 0.284 0.454 1
O4 O 0.950 0.193 0.884 1
O5 O 0.001 0.838 0.101 1
O6 O 0.811 0.534 0.204 1
O7 O 0.218 0.942 0.473 1
O8 O 0.528 0.419 0.816 1
O9 O 0.950 0.693 0.384 1
O10 O 0.437 0.769 0.637 1
O11 O 0.752 0.310 0.723 1
O12 O 0.901 0.331 0.393 1
O13 O 0.194 0.676 0.249 1
O14 O 0.989 0.423 0.089 1
O15 O 0.694 0.426 0.500 1
O16 O 0.718 0.692 0.723 1
O17 O 0.028 0.669 0.566 1
O18 O 0.901 0.831 0.893 1
O19 O 0.502 0.589 0.351 1
O20 O 0.191 0.978 0.259 1
O21 O 0.489 0.673 0.839 1
O22 O 0.401 0.580 0.144 1
O23 O 0.989 0.923 0.589 1
O24 O 0.175 0.780 0.754 1
O25 O 0.401 0.080 0.644 1
O26 O 0.175 0.280 0.254 1
O27 O 0.675 0.030 0.504 1
O28 O 0.692 0.728 0.509 1
O29 O 0.437 0.269 0.137 1
O30 O 0.450 0.444 0.634 1
O31 O 0.252 0.060 0.973 1
O32 O 0.311 0.784 0.954 1
O33 O 0.692 0.228 0.009 1
O34 O 0.252 0.560 0.473 1
O35 O 0.694 0.926 0.000 1
O36 O 0.502 0.089 0.851 1
O37 O 0.450 0.944 0.134 1
O38 O 0.028 0.169 0.066 1
O39 O 0.811 0.034 0.704 1
O40 O 0.194 0.176 0.749 1
O41 O 0.191 0.478 0.759 1
O42 O 0.675 0.530 0.004 1
O43 O 0.937 0.019 0.387 1
O44 O 0.001 0.338 0.601 1
O45 O 0.752 0.810 0.223 1
O46 O 0.528 0.919 0.316 1
O47 O 0.489 0.173 0.339 1
O48 O 0.937 0.519 0.887 1
Nb1 Nb 0.500 0.238 0.740 1
Nb2 Nb 0.736 0.389 0.123 1
Nb3 Nb 0.247 0.370 0.129 1
Nb4 Nb 0.736 0.889 0.623 1
Nb5 Nb 0.000 0.487 0.490 1
Nb6 Nb 0.509 0.008 0.993 1
Nb7 Nb 0.009 0.758 0.243 1
Nb8 Nb 0.236 0.139 0.373 1
Nb9 Nb 0.236 0.639 0.873 1
Nb10 Nb 0.247 0.870 0.629 1
Nb11 Nb 0.500 0.738 0.240 1
Nb12 Nb 0.747 0.120 0.379 1
Nb13 Nb 0.000 0.987 0.990 1
Nb14 Nb 0.509 0.508 0.493 1
Nb15 Nb 0.009 0.258 0.743 1
Nb16 Nb 0.747 0.620 0.879 1
Mn1 Mn 0.450 0.567 0.726 1
Mn2 Mn 0.450 0.067 0.226 1
Mn3 Mn 0.950 0.317 0.976 1
Mn4 Mn 0.950 0.817 0.476 1

# PBE with a Hubbard U Zn3Cr2O7, relaxed
# Symmetry: Cmc2_1
# Mass density: 5.58 g cm⁻³
# DFT total energy: -141.61 eV per cell
data_Zn3Cr2O7
_symmetry_space_group_name_H-M 'P 1'
_symmetry_Int_Tables_number 1
_cell_length_a 9.627
_cell_length_b 9.627
_cell_length_c 5.121
_cell_angle_alpha 90.00
_cell_angle_beta 90.00
_cell_angle_gamma 31.15
loop_
_symmetry_equiv_pos_as_xyz
'x,y,z'
loop_
_atom_site_label
_atom_site_type_symbol
_atom_site_fract_x
_atom_site_fract_y
_atom_site_fract_z
_atom_site_occupancy
Zn1 Zn 0.077 0.521 0.431 1
Zn2 Zn 0.239 0.761 0.500 1
Zn3 Zn 0.479 0.923 0.431 1
Zn4 Zn 0.521 0.077 0.931 1
Zn5 Zn 0.761 0.239 0.000 1
Zn6 Zn 0.923 0.479 0.931 1
Cr1 Cr 0.146 0.650 0.967 1
>>>
Here the piece continues:

Leprosy appears to have been common in Europe in the Middle Ages, but its prevalence had declined by the end of that period, and it is now mainly a disease of the tropics. It occurs in a number of different forms, determined primarily by the immune response of the infected individual, including lepromatous leprosy (see LEPROMATOUS adj. 2), tuberculoid leprosy (see TUBERCULOID adj. b), histoid leprosy (see HISTOID adj. 2), etc. It can also be classified by the number of bacteria identifiable in lesions of the skin; see multibacillary adj. at MULTI- comb. form 1a, paucibacillary adj. at PAUCI- comb. form . Other diseases for which the name was originally used probably include unrelated conditions such as psoriasis, scabies, leukoderma or vitiligo, and syphilis.  [New first recorded instance: ?a1450.]

scarlet fever:

ORIGINAL DEFINITION (1910): a contagious febrile disease, distinguished by a scarlet efflorescence of the skin and of the mucous membrane of the mouth and pharynx. Also known as scarlatina adj. [First recorded instance: 1676.]

REVISED DEFINITION (2012): Originally: any of various fevers accompanied by a red rash; cf. PURPLE FEVER n. In later use: spec. an infectious disease characterized by a distinctive scarlet rash, originally punctate and later usu. confluent, which begins on the trunk and neck and spreads to the face and extremities, is followed by peeling of the skin, and is typically associated with severe pharyngitis or tonsillitis. Also called scarlatina.

## Inserted here: records of crystals
# 1
{
  "formula": "ZrNi4P2",
  "functional": "r²SCAN",
  "state": "relaxed",
  "lattice": [[6.897, 0.000, 0.000], [0.000, 6.897, 0.000], [0.000, 0.000, 3.541]],
  "species": ["Zr", "Zr", "Ni", "Ni", "Ni", "Ni", "Ni", "Ni", "Ni", "Ni", "P", "P", "P", "P"],
  "fractional_positions": [[0.000, 0.000, 0.000], [0.500, 0.500, 0.500], [0.084, 0.334, 0.500], [0.166, 0.584, 0.000], [0.334, 0.084, 0.500], [0.416, 0.834, 0.000], [0.584, 0.166, 0.000], [0.666, 0.916, 0.500], [0.834, 0.416, 0.000], [0.916, 0.666, 0.500], [0.219, 0.781, 0.500], [0.281, 0.281, 0.000], [0.719, 0.719, 0.000], [0.781, 0.219, 0.500]],
  "sg": "P4_2/mnm",
  "delta_e_f_ev_per_fu": -5.830,
  "energy_ev_per_atom": -13.502,
  "total_magnetization_mub_per_cell": 0.107
}

# 2
{
  "formula": "PaNi2Sb",
  "functional": "r²SCAN",
  "state": "relaxed",
  "lattice": [[0.000, 3.249, 3.249], [3.249, 0.000, 3.249], [3.249, 3.249, 0.000]],
  "species": ["Pa", "Ni", "Ni", "Sb"],
  "fractional_positions": [[0.000, 0.000, 0.000], [0.250, 0.250, 0.250], [0.750, 0.750, 0.750], [0.500, 0.500, 0.500]],
  "sg": "Fm-3m",
  "delta_e_f_ev_per_fu": -1.600,
  "energy_ev_per_atom": -32.031,
  "total_magnetization_mub_per_cell": 0.000
}

# 3
{
  "formula": "Ni3Pb2S2",
  "functional": "r²SCAN",
  "state": "relaxed",
  "lattice": [[-4.015, 4.015, 4.015], [4.015, -4.015, 4.015], [4.015, 4.015, -4.015]],
  "species": ["Ni", "Ni", "Ni", "Ni", "Ni", "Ni", "Pb", "Pb", "Pb", "Pb", "S", "S", "S", "S"],
  "fractional_positions": [[0.008, 0.250, 0.258], [0.242, 0.492, 0.750], [0.250, 0.258, 0.008], [0.258, 0.008, 0.250], [0.492, 0.750, 0.242], [0.750, 0.242, 0.492], [0.000, 0.993, 0.500], [0.500, 0.000, 0.993], [0.507, 0.507, 0.507], [0.993, 0.500, 0.000], [0.000, 0.530, 0.500], [0.500, 0.000, 0.530], [0.530, 0.500, 0.000], [0.970, 0.970, 0.970]],
  "relative_energy_mev_per_atom": 7.1,
  "sg": "I2_13",
  "delta_e_f_ev_per_fu": -2.495,
  "energy_ev_per_atom": -23.868,
  "total_magnetization_mub_per_cell": 0.155
}

# 4
{
  "formula": "Ni3Pb2S2",
  "functional": "r²SCAN",
  "state": "relaxed",
  "lattice": [[2.816, 1.626, 4.533], [-2.816, 1.626, 4.533], [0.000, -3.252, 4.533]],
  "species": ["Ni", "Ni", "Ni", "Pb", "Pb", "S", "S"],
  "fractional_positions": [[0.000, 0.500, 0.500], [0.500, 0.000, 0.500], [0.500, 0.500, 0.000], [0.000, 0.000, 0.000], [0.500, 0.500, 0.500], [0.228, 0.228, 0.228], [0.772, 0.772, 0.772]],
  "relative_energy_mev_per_atom": 0.0,
  "sg": "R-3m",
  "delta_e_f_ev_per_fu": -2.545,
  "energy_ev_per_atom": -23.875,
  "total_magnetization_mub_per_cell": 0.000
}

# 5
{
  "formula": "Tb12Ni6Pb",
  "functional": "r²SCAN",
  "state": "relaxed",
  "lattice": [[-4.860, 4.860, 4.860], [4.860, -4.860, 4.860], [4.860, 4.860, -4.860]],
  "species": ["Tb", "Tb", "Tb", "Tb", "Tb", "Tb", "Tb", "Tb", "Tb", "Tb", "Tb", "Tb", "Ni", "Ni", "Ni", "Ni", "Ni", "Ni", "Pb"],

Scarlet fever is now known to be a complication of streptococcal infection of the throat or other site in the body, occurring when group A streptococci are infected with bacteriophage carrying the gene for a toxin (erythrogenic toxin) which causes the rash. [First recorded instance now a1651.]

More technology and diseases

This quarter’s new-words component draws in more terms from these areas. The imagined and humorous American disease of senioritis has been in the waiting room for over a century but until now has not pushed for inclusion in the OED:

A supposed affliction of students in their final year of high school or university, esp. characterized by a decline in motivation or performance. (1907-)

Captcha, rather than capture, may not be a contender for anyone’s word of the year, but it’s become an established term, and it appears in the OED now for the first time. The etymology is intriguing: it’s an acronym built from the initial letters of Completely Automatic Public Turing test to tell Computers and Humans Apart (which must have taken someone a while to think up). The formal definition runs:

Any of various authentication systems devised to enable a computer to distinguish human from computer input, typically in order to thwart spam or to prevent automated misuse of a web site; a manifestation of such a system, esp. a string of distorted letters that a user must read and key in correctly to proceed. (2001-)

It’s been suggested that another new entrant, xolo (short for xoloitzcuintli and perhaps known to us better as the Mexican hairless dog) might be a word that children’s book illustrators could use as another option of an animal before “Yak” and “Zebra”.

Bill Trumble and retirement: a retiring, withdrawing, recoyling, fetching or putting backe, pulling or gathering in (Randle Cotgrave, 1611)

This week marks the retirement of another long-serving OED editorial staff member, Bill Trumble. Bill joined the staff of the Supplement of the OED in 1975 as a science editor, and has contributed since then to a wide range of Oxford Dictionaries including the New Shorter OED, the Oxford Dictionary of the English Language, and of course the OED itself. He formed part of the successful BBC1 University Challenge: the Professionals team from Oxford University Press in 2004, and even managed to take in a secondment to California between work on other projects.

Appealing requests

Recently the OED has launched its latest Appeals. This time the appeals are online requests, allowing contributors to present their findings both to the OED and to anyone else who is following the discussion. The number-one hot success of the first set of appeals was “blue-arsed fly”, taken back by readers from 1970 to 1936 in Australia. Another finding from the first appeals was Bellini (the cocktail), found in 1956 (formerly 1965). Currently in the shop window for appeal-hunters are easy-peasy (wanted before 1976) and carbo-loading (wanted before 1978).

John Simpson
Chief Editor, OED